File:
-- begin --
The following is a DFT calculation (PBE-GGA) of Ac2Cd4In3Sn after structural relaxation.

Cell and atoms, written as CIF:
```
data_Ac2Cd4In3Sn
_cell_length_a 4.787
_cell_length_b 4.787
_cell_length_c 12.199
_cell_angle_alpha 90.00
_cell_angle_beta 90.00
_cell_angle_gamma 90.00
_space_group_name_H-M_alt 'P -4 m 2'
_space_group_IT_number 115
_space_group_name_Hall 'P -4 -2'
loop_
_atom_site_label
_atom_site_fract_x
_atom_site_fract_y
_atom_site_fract_z
_atom_site_occupancy
Ac1 0.000 0.500 0.247 1
Cd1 0.000 0.000 0.000 1
Cd2 0.000 0.500 0.640 1
Cd3 0.500 0.500 0.000 1
In1 0.000 0.500 0.865 1
In2 0.500 0.500 0.500 1
Sn1 0.000 0.000 0.500 1
```

Energy of formation from the pure elements = -0.327 eV/atom

~~~~~

! AgGeAu2 | Alexandria via LeMat-Bulk | GGA-PBE | optimized geometry; values from VASP
&SYSTEM
  ibrav = 0, nat = 16, ntyp = 3
/
ATOMIC_SPECIES
Ag 107.87 Ag.upf
Ge 72.64 Ge.upf
Au 196.97 Au.upf
CELL_PARAMETERS angstrom
-2.554 -4.992 0.745
6.723 -3.025 2.776
-1.751 1.826 6.231
ATOMIC_POSITIONS crystal
Ag 0.321 0.250 0.019
Ag 0.821 0.750 0.481
Ag 0.679 0.750 0.981
Ag 0.179 0.250 0.519
Ge 0.684 0.250 0.413
Ge 0.184 0.750 0.087
Ge 0.316 0.750 0.587
Ge 0.816 0.250 0.913
Au 0.960 0.026 0.220
Au 0.460 0.974 0.280
Au 0.040 0.526 0.780
Au 0.540 0.474 0.720
Au 0.040 0.974 0.780
Au 0.540 0.026 0.720
Au 0.960 0.474 0.220
Au 0.460 0.526 0.280
! - magnetic moment (μB/f.u.) = 0.0
! - energy relative to the elements (kJ/mol of atoms) = 4.5
! - crystal system = orthorhombic
! - DOS(E_F) (states/eV/cell) = 5.72
-- stop --

Exercise:
Repeat the lines further above up to the one that holds "nat", that line included.

Result:
The following is a DFT calculation (PBE-GGA) of Ac2Cd4In3Sn after structural relaxation.

Cell and atoms, written as CIF:
```
data_Ac2Cd4In3Sn
_cell_length_a 4.787
_cell_length_b 4.787
_cell_length_c 12.199
_cell_angle_alpha 90.00
_cell_angle_beta 90.00
_cell_angle_gamma 90.00
_space_group_name_H-M_alt 'P -4 m 2'
_space_group_IT_number 115
_space_group_name_Hall 'P -4 -2'
loop_
_atom_site_label
_atom_site_fract_x
_atom_site_fract_y
_atom_site_fract_z
_atom_site_occupancy
Ac1 0.000 0.500 0.247 1
Cd1 0.000 0.000 0.000 1
Cd2 0.000 0.500 0.640 1
Cd3 0.500 0.500 0.000 1
In1 0.000 0.500 0.865 1
In2 0.500 0.500 0.500 1
Sn1 0.000 0.000 0.500 1
```

Energy of formation from the pure elements = -0.327 eV/atom

~~~~~

! AgGeAu2 | Alexandria via LeMat-Bulk | GGA-PBE | optimized geometry; values from VASP
&SYSTEM
  ibrav = 0, nat = 16, ntyp = 3